Mangroves are woody specialized trees of tropics and are valuable flora contributing to economical, ecological, scientific and cultural resources. They thrive in salty environments like coastal regions and are aid towards disaster management facing the onsl...
The word‘mangrove’may refer to the habitat as a whole or to the trees and shrubs in the mangrove swamp. Mangroves are flowering trees, belonging to the families Rhizophoraceae, Acanthaceae, Lythraceae, Combretaceae, and Arecaceae. Features of Mangroves: Saline environment:They can survive unde...
Fu W, Wu Y (2011) Estimation of aboveground biomass of different mangrove trees based on canopy diameter and tree height. In: Proceedings: 3rd international conference on environmental science and information application technology (ESIAT 2011) Proc Environ Sci 10:2189–2194 Google Scholar Ghosh V,...
The global scientific community unequivocally accepts the significance of mangroves in offsetting anthropogenic carbon emissions. This unique vegetation sequesters disproportionately high carbon than many other natural ecosystems, and the countries borde
9. The island's Lac Bay area includes four species of mangrove trees, and some guides provide time for snorkeling in the clear waters. 10. Companies have largely ignored the instruction to leave, but they stepped up security in the vast area of mangrove swamps and creeks. ...
Misplaced molecular data
┌──
{
  "formula": "C8H11N2",
  "method": "wB97M-V/def2-TZVPD",
  "elements": ["N", "N", "C", "C", "C", "C", "C", "C", "C", "C", "H", "H", "H", "H", "H", "H", "H", "H", "H", "H", "H"],
  "positions_angstrom": [[1.39673, -3.73246, 0.32665], [-0.31193, 0.71922, 0.38463], [1.02651, -0.30559, -1.31482], [0.41359, 0.82528, -0.73816], [-0.99592, 3.14194, -0.04239], [-0.90576, 1.97780, 0.95602], [-0.63379, -0.50337, 0.94709], [0.87096, -1.54235, -0.67769], [0.55636, -2.92719, -0.34878], [-0.11443, -1.60480, 0.34774], [0.47799, 1.75196, -1.22646], [2.38836, -3.47874, 0.57236], [-0.18271, 2.53732, 1.66091], [1.22036, -4.67523, 0.22104], [1.66946, -0.16346, -2.08893], [-0.16204, -3.40498, -1.05454], [-1.25079, -0.52461, 1.75742], [-1.89708, 1.75679, 1.36928], [-1.81479, 2.93309, -0.90654], [-1.63808, 3.86412, 0.51802], [-0.11300, 3.35527, -0.66286]],
  "atomic_forces_ev_per_a": [[2.66, 0.89, 1.03], [-0.61, 0.44, 0.16], [-0.61, -0.94, 2.56], [0.16, -2.72, 0.44], [-4.25, -1.30, -2.53], [1.58, 1.76, -0.12], [1.96, 0.23, -2.59], [-2.80, 2.87, 0.70], [-1.36, 1.08, -0.48], [1.89, -1.01, -1.30], [0.18, 0.90, -0.24], [-1.90, -0.23, -0.55], [-1.04, -2.06, -0.12], [-0.14, -2.13, -0.01], [1.55, 0.45, -2.35], [0.63, 0.21, 0.72], [-1.63, 0.32, 2.09], [0.57, 0.00, 0.13], [1.74, -0.11, 1.68], [1.63, 0.43, -0.49], [-0.22, 0.92, 1.28]],
  "de_lowest_kcal_mol": 88.6,
  "orbital_gap_ev": 8.56,
  "multiplicity": 1,
  "lumo_energy_ha": -0.16130,
  "total_energy_ha": -420.558814,
  "charge": 1,
  "smiles": "CC[n+]1ccc2c(c1)[C@@H]2N"
}

=====

{
  "formula": "C2",
  "method": "wB97M-V/def2-TZVPD",
  "elements": ["C", "C"],
  "positions_angstrom": [[0.60653, -0.68603, -0.54317], [-0.60653, 0.68603, 0.54317]],
  "atomic_forces_ev_per_a": [[-3.53, 4.00, 3.16], [3.53, -4.00, -3.16]],
  "de_lowest_kcal_mol": 105.5,
  "orbital_gap_ev": 6.31,
  "multiplicity": 1,
  "lumo_energy_ha": -0.09462,
  "total_energy_ha": -75.709359
}

=====

{
  "formula": "C3H11N2",
  "method": "wB97M-V/def2-TZVPD",
  "elements": ["N", "N", "C", "C", "C", "H", "H", "H", "H", "H", "H", "H", "H", "H", "H", "H"],
  "positions_angstrom": [[-2.38050, -0.07430, 0.98992], [-2.04654, 0.71362, -1.10341], [-2.10810, -0.31335, -0.26762], [1.98347, -0.87353, -0.08729], [2.28172, 0.57166, 0.20511], [2.37012, -1.43866, 0.77814], [2.53508, -1.31851, -0.95261], [-1.72479, 0.53746, -2.03584], [-2.01213, 1.67130, -0.77288], [-1.97482, -1.36245, -0.50934], [1.89334, 1.26109, -0.55244], [1.82129, 0.87640, 1.19738], [-2.51199, -0.87104, 1.60590], [-2.41339, 0.79709, 1.51001], [3.36308, 0.67240, 0.39663], [0.92415, -0.84918, -0.40164]],
  "atomic_forces_ev_per_a": [[0.20, -1.37, 1.25], [0.90, -1.32, -0.05], [-0.69, 2.16, 0.93], [0.70, 2.10, 0.04], [-0.94, -0.91, -0.03], [0.20, -0.25, -0.12], [-0.25, -0.85, -0.16], [-0.16, 0.14, -0.53], [-0.35, -0.10, -0.06], [-0.18, 0.20, -0.71], [-0.48, -0.17, 0.12], [0.66, 0.68, -0.12], [-0.01, 0.04, -0.14], [-0.20, 0.28, -0.73], [0.39, -0.27, 0.70], [0.21, -0.34, -0.39]],
└──
Urban expansion has greatly impacted the mangrove trees in Mumbai city105. Expansion of Kolkata metropolitan areas towards the southwards and many new megaprojects like Joka urban development, a new airport in Bhangar, the rapid growth of Baruipur and Canning are alarming threats to the Sundarban ...
Tree density varied from 1,264 trees ha–1 at Kombeni to 1,301 trees ha–1 at Tsalu and mean tree height was higher at the former site compared to the latter. The size-class structure at both localities showed the numerical dominance of small trees over larger trees. The spatial ...
== These data records were left in the page by mistake ==
********
Entry 1:
Molecular formula: C3H3O3S
Method: DFT, ωB97M-V/def2-TZVPD

The geometry in XYZ format:
```
10
Properties=species:S:1:pos:R:3:forces:R:3
S -0.7108 -1.6635 -0.0854 -5.7 -2.8 -0.1
O -1.2948 0.5225 -1.3973 -0.3 1.5 -0.1
O -1.7992 1.7974 0.4616 -0.2 0.8 -0.3
O -1.3884 -0.3525 0.6405 1.1 -0.8 0.9
C 1.4217 -0.1751 0.1228 -0.8 -1.2 -0.9
C 0.8436 -1.5207 -0.2147 3.8 2.7 0.5
C -1.5133 0.8385 -0.2234 0.1 -1.1 -0.8
H 2.4524 -0.0987 0.0001 1.8 0.2 0.0
H 0.9004 0.6031 -0.3950 0.0 0.5 -1.2
H 1.0884 0.0491 1.0907 0.2 0.1 2.1
```
Forces are in eV/Å.

## Properties
net charge: -1
LUMO energy (spin up / spin down): 3.69 / 2.26 eV
E_HOMO (spin up / spin down): -2.03 / -4.96 eV
max |F|: 6.359 eV Å⁻¹
multiplicity: 3
Kohn-Sham gap (spin up / spin down): 5.724 / 7.224 eV
ΔE to the lowest compared entry with this formula, charge and spin: 136.3 kJ/mol

Entry 2:
Molecular formula: C4H16BrO6
Method: DFT, ωB97M-V/def2-TZVPD

The geometry in XYZ format:
```
27
Properties=species:S:1:pos:R:3:forces:R:3
Br 0.3887 -0.5179 0.8737 0.0 0.1 0.2
O -0.6319 -2.9036 3.0934 0.1 -0.1 0.2
O 0.9555 -2.2570 -2.0526 0.1 0.1 -0.1
O 4.5790 3.9576 1.5602 -0.1 0.0 -0.1
O -2.2059 -2.1685 -0.7169 -0.6 0.2 0.3
O -3.6592 -2.3122 -3.0443 -0.1 0.2 0.2
O 3.1888 1.3195 1.0157 -0.1 0.3 0.2
C 3.4006 3.6653 0.7994 0.2 0.1 0.0
C -4.0680 -1.3792 -2.0433 0.0 0.0 -0.2
C -2.9081 -1.0153 -1.1372 0.0 -0.2 -0.2
C 2.5810 2.5535 1.3883 0.0 -0.5 0.1
H 3.6873 3.3687 -0.2151 -0.1 0.1 0.0
H -0.0301 -2.3334 2.5854 -0.1 0.0 -0.2
H -2.2388 -0.3249 -1.6622 0.1 0.0 0.0
H 1.5452 2.6066 1.0372 0.0 -0.1 -0.1
H 2.5293 0.6279 1.1983 -0.1 -0.2 -0.2
H -4.4516 -2.5777 -3.5175 0.0 0.0 -0.1
H -1.8632 -1.9494 0.1601 0.5 -0.2 -0.1
H 0.7087 -1.7838 -1.2378 -0.1 -0.1 0.0
H -4.9055 -1.7736 -1.4544 0.1 -0.2 0.0
H 2.5650 2.6287 2.4834 0.0 0.2 0.0
H -1.1716 -2.2711 3.5747 0.0 0.0 0.0
H -4.4084 -0.4508 -2.5276 -0.1 0.0 0.1
H -3.3455 -0.4944 -0.2781 0.1 0.2 0.0
H 2.8145 4.5827 0.7507 0.1 0.1 0.1
H 5.0965 3.1469 1.5914 0.0 -0.1 0.0
H 1.8479 -1.9448 -2.2248 0.0 0.0 0.0
```
Forces are in eV/Å.

## Properties
net charge: -1
LUMO energy: 3.07 eV
E_HOMO: -5.36 eV
max |F|: 0.682 eV Å⁻¹
multiplicity: 1
Kohn-Sham gap: 8.431 eV
ΔE to the lowest compared entry with this formula, charge and spin: 29.8 kJ/mol

Entry 3:
Molecular formula: C19H37NO6
Method: DFT, ωB97M-V/def2-TZVPD

The geometry in XYZ format:
```
63
Properties=species:S:1:pos:R:3:forces:R:3
O -0.5361 -0.5789 0.7450 2.3 3.5 1.0
O -3.2237 1.2162 3.3619 -0.4 2.6 3.2
O 1.4642 0.2048 1.9332 -8.4 1.3 -2.7
O -3.8446 3.1734 4.8058 4.4 -6.0 -3.1
O 5.2953 -2.6410 -2.2474 0.4 -0.2 -0.2
O -0.1887 1.4854 -2.5696 0.4 0.9 1.2
N 1.5057 -1.0634 -2.0849 -0.3 -2.2 -0.9
C 0.2223 2.8726 -2.8750 0.7 1.1 1.1
C -0.5996 -0.2573 -0.6874 -1.2 -0.6 -2.6
C -3.1693 -0.5055 0.1826 -0.4 0.6 0.5
C -0.2790 2.9474 4.2453 -1.9 -1.3 1.3
C 6.3147 -2.0574 -0.1499 -0.1 0.3 0.2
C 7.6407 -3.1099 -2.0053 0.3 0.0 -0.3
C -2.2096 -0.3106 -1.1377 -1.0 -0.1 0.7
C 0.1952 -1.5065 -1.4654 0.3 -0.3 0.5
********
== End of the data records ==
Mangrove forests change analysis in the western coastal of Guangdong Province, China using remote sensing and GIS (1988–2008) Mangroves are small evergreen trees that flourish in the intertidal zones of river deltas, lagoons, estuaries, and coastal systems in the tropics, subtropi... L Kai,...
Mangroves are shrubs/trees growing in areas with low-oxygen soil, where slow-moving waters allow fine sediments to accumulate and flourish in coastal areas and estuaries. Mangrove forests are only found in tropical and subtropical areas near the equator because they cannot tolerate subzero ...
“We see the girl’s life turn upside down … her look of helplessness reflecting the turmoil of life for many people on the southern coast of the Sundarbans in India,” Leo Thom, founder of the Mangrove Photography Awards and creative director of Mangrove Action Project, told CNN. “As ...